The therapeutic product is a hSLo cDNA gene that encodes the alpha subunit of the smooth muscle cell potassium ion channel known as the Maxi-K channel.
The cDNA fragment is inserted into a plasmid construct which is commercially available (pVAX by Invitrogen). The plasmid construct (Figure 2) contains both the gene encoding Maxi-K channel as well as promoter sequences needed for transcription. A phosphate buffered saline solution containing the plasmid construct is then administered into the corpus cavernosum.
The advantage of this plasmid construct is that no viral vector is used to transfer the gene and thus avoids the adverse immune responses and inflammation typically caused by viral vectors.
The disadvantage is that the efficiency of the transfection (proportion of recombinant cells in the host) is low compared to viral vectors.
Proposed mechanism of the therapeutic product
(Figure 3a) shows the regulatory mechanism for smooth muscle cells relaxation in the corpora cavernosa. The K+ channels play an important role in regulating the contraction and relaxation of the smooth muscle cells in the corpora cavernosa of the penis. Their primary effect is to modulate the influx of calcium ions into the cells which in turn regulate the degree of smooth muscle contraction.
'''
Record 1
{"formula": "AlCrO4", "functional": "GGA+U", "state": "relaxed", "total_magnetization_mub_per_atom": 0.17, "e_tot_ev_per_atom": -7.126, "lattice_angstrom": [[3.121, -3.196, 0.000], [3.121, 3.196, 0.000], [0.000, 0.000, 2.903]], "species": ["O", "O", "O", "O", "Cr", "Al"], "frac_coords": [[0.698, 0.302, 0.000], [0.197, 0.197, 0.500], [0.302, 0.698, 0.000], [0.803, 0.803, 0.500], [0.500, 0.500, 0.500], [0.000, 0.000, 0.000]]}



Record 2
{"formula": "Li2Mn2CuO6", "functional": "GGA+U", "state": "relaxed", "total_magnetization_mub_per_atom": 0.64, "e_tot_ev_per_atom": -6.172, "lattice_angstrom": [[-1.893, 1.107, 4.615], [1.229, -4.793, -1.275], [9.564, 1.504, 3.563]], "species": ["Li", "Li", "Li", "Li", "O", "O", "O", "O", "O", "O", "O", "O", "O", "O", "O", "O", "Mn", "Mn", "Mn", "Mn", "Cu", "Cu"], "frac_coords": [[0.673, 0.173, 0.250], [0.327, 0.827, 0.750], [0.827, 0.327, 0.750], [0.173, 0.673, 0.250], [0.630, 0.001, 0.893], [0.337, 0.337, 0.906], [0.999, 0.370, 0.107], [0.870, 0.499, 0.393], [0.663, 0.663, 0.094], [0.001, 0.630, 0.893], [0.499, 0.870, 0.393], [0.130, 0.501, 0.607], [0.501, 0.130, 0.607], [0.163, 0.163, 0.406], [0.370, 0.999, 0.107], [0.837, 0.837, 0.594], [0.835, 0.165, 0.500], [0.665, 0.335, 0.000], [0.335, 0.665, 0.000], [0.165, 0.835, 0.500], [0.000, 0.000, 0.000], [0.500, 0.500, 0.500]]}



Record 3
'''
Increased Maxi-K channel activity(Figure 3b) is associated with corporal smooth muscle cell relaxation and penile erection.The ion channels signals are propagated via gap junctions in the penile corporal smooth muscle cells network. Thus increased concentration in K channel activity in one site can be propagated via these gap junctions, allowing the corporal tissue to functions as a whole unit even after severe nerve loss.
This is also why unlike cancer cell gene therapy for instance, a low rate of recombinant cell transfection is not necessary when using the plasmid mediated gene transfer.
In conclusion, the use of ion channel therapy via upregulation of the genes encoding the hsLo subunit is based on the principle of allowing the rapid and robust relaxation of the corporal smooth muscle cells.
Top Figure 3a: Left figure shows relationship of the smooth muscle cell to the potassium ion channels, intracellular
calcium ion concentrations,secondary messengers and other proteins. Smooth muscle contractility is regulated primarily by intracellular Ca ions, the temporal control of calcium ion entry by potassium channel activity regulates the tone of the smooth muscle cell. |
Bottom Figure 3b: Increased K channel activity via insertion of Maxi-K channels into smooth muscle cell. Three additional Maxi-K channels are shown in the cell membrane. In the presence of
an appropriate neural or ionic signal, the potassium channels open, hyperpolarize the cell to approximately -60 mV, and
inhibit the influx of calcium ion, thus causing the cell to relax. |